Divine Moments: The Darkest Valley
The piece is interrupted by records of crystals:
An optimized crystal structure of Sm5Pb4. Source: the Materials Project, functional r²SCAN.

Summary:
Raw total energy (eV/atom): -42.306
Symmetry: Pnma, No. 62
ρ (Mg/m³): 9.36
Formation energy (eV/atom): -0.7717

a = 8.351 Å, b = 15.917 Å, c = 8.434 Å
α = 90.00°, β = 90.00°, γ = 90.00°
Atoms (fractional coordinates):
Sm  0.041  0.103  0.175
Sm  0.041  0.397  0.175
Sm  0.116  0.618  0.343
Sm  0.116  0.882  0.343
Sm  0.218  0.250  0.503
Sm  0.282  0.750  0.003
Sm  0.384  0.118  0.843
Sm  0.384  0.382  0.843
Sm  0.459  0.603  0.675
Sm  0.459  0.897  0.675
Sm  0.541  0.103  0.325
Sm  0.541  0.397  0.325
Sm  0.616  0.618  0.157
Sm  0.616  0.882  0.157
Sm  0.718  0.250  0.997
Sm  0.782  0.750  0.497
Sm  0.884  0.118  0.657
Sm  0.884  0.382  0.657
Sm  0.959  0.603  0.825
Sm  0.959  0.897  0.825
Pb  0.081  0.250  0.874
Pb  0.150  0.750  0.647
Pb  0.226  0.044  0.529
Pb  0.226  0.456  0.529
Pb  0.274  0.544  0.029
Pb  0.274  0.956  0.029
Pb  0.350  0.250  0.147
Pb  0.419  0.750  0.374
Patients & Families
(Next to the article, the page also holds data records)
+++
# 1
Material: Na15Ca7Nb5P18O72
Method: DFT, PBE-GGA
State: relaxed

a b c (Å): 9.173 9.192 22.945
angles (deg): 90.06 90.03 119.79
Sites, in units of the cell vectors:
1 Na 0.000 0.000 0.000
2 Na 0.000 0.995 0.490
3 Na 0.004 0.376 0.749
4 Na 0.013 0.690 0.915
5 Na 0.016 0.317 0.410
6 Na 0.310 0.322 0.915
7 Na 0.327 0.662 0.322
8 Na 0.333 0.667 0.830
9 Na 0.369 0.994 0.749
10 Na 0.626 0.629 0.749
11 Na 0.635 0.986 0.244
12 Na 0.654 0.319 0.660
13 Na 0.669 0.345 0.154
14 Na 0.677 0.987 0.915
15 Na 0.964 0.650 0.576
16 Ca 0.001 0.000 0.849
17 Ca 0.004 0.992 0.351
18 Ca 0.325 0.658 0.185
19 Ca 0.336 0.666 0.678
20 Ca 0.656 0.326 0.517
21 Ca 0.666 0.333 0.818
22 Ca 0.667 0.332 0.018
23 Nb 0.003 0.999 0.147
24 Nb 0.333 0.666 0.990
25 Nb 0.342 0.672 0.479
26 Nb 0.663 0.338 0.312
27 Nb 0.999 0.004 0.643
28 P 0.039 0.678 0.085
29 P 0.044 0.368 0.582
30 P 0.293 0.291 0.746
31 P 0.303 0.013 0.249
32 P 0.321 0.360 0.086
33 P 0.323 0.957 0.584
34 P 0.363 0.016 0.917
35 P 0.377 0.346 0.416
36 P 0.637 0.678 0.583
37 P 0.639 0.959 0.088
38 P 0.655 0.637 0.917
39 P 0.658 0.037 0.415
40 P 0.708 0.001 0.746
41 P 0.714 0.704 0.249
42 P 0.966 0.621 0.419
43 P 0.983 0.345 0.917
44 P 0.988 0.287 0.253
45 P 0.998 0.706 0.745
46 O 0.001 0.798 0.411
47 O 0.002 0.212 0.309
48 O 0.014 0.799 0.802
49 O 0.018 0.197 0.914
50 O 0.032 0.189 0.587
51 O 0.037 0.851 0.089
52 O 0.115 0.462 0.639
53 O 0.123 0.661 0.138
54 O 0.130 0.464 0.244
55 O 0.143 0.620 0.422
56 O 0.146 0.954 0.584
57 O 0.148 0.187 0.090
58 O 0.153 0.683 0.741
59 O 0.158 0.697 0.029
60 O 0.160 0.508 0.929
61 O 0.164 0.465 0.528
62 O 0.178 0.174 0.693
63 O 0.180 0.982 0.914
64 O 0.195 0.211 0.408
65 O 0.202 0.029 0.195
66 O 0.202 0.217 0.803
67 O 0.204 0.988 0.303
68 O 0.301 0.461 0.030
69 O 0.303 0.830 0.531
70 O 0.315 0.467 0.742
71 O 0.337 0.885 0.641
72 O 0.342 0.464 0.138
73 O 0.350 0.840 0.930
74 O 0.351 0.878 0.241
75 O 0.373 0.520 0.422
76 O 0.452 0.321 0.470
77 O 0.455 0.141 0.964
78 O 0.460 0.073 0.858
79 O 0.461 0.291 0.741
80 O 0.463 0.327 0.074
81 O 0.465 0.133 0.576
82 O 0.480 0.187 0.255
83 O 0.490 0.858 0.425
84 O 0.492 0.652 0.930
85 O 0.495 0.363 0.361
86 O 0.530 0.693 0.531
87 O 0.532 0.847 0.741
88 O 0.533 0.835 0.033
89 O 0.539 0.679 0.240
90 O 0.543 0.882 0.142
91 O 0.549 0.655 0.641
92 O 0.613 0.539 0.858
93 O 0.630 0.125 0.359
94 O 0.668 0.133 0.076
95 O 0.680 0.540 0.574
96 O 0.686 0.144 0.468
97 O 0.687 0.544 0.964
98 O 0.705 0.526 0.257
99 O 0.706 0.168 0.741
100 O 0.783 0.985 0.803
101 O 0.790 0.809 0.303
102 O 0.803 0.819 0.914
103 O 0.807 0.009 0.407
104 O 0.812 0.288 0.255
105 O 0.813 0.849 0.585
106 O 0.814 0.962 0.090
107 O 0.825 0.003 0.693
108 O 0.832 0.538 0.741
109 O 0.834 0.799 0.195
110 O 0.859 0.313 0.964
111 O 0.862 0.496 0.366
112 O 0.863 0.536 0.075
113 O 0.870 0.347 0.574
114 O 0.876 0.545 0.475
115 O 0.926 0.386 0.858
116 O 0.965 0.162 0.199
117 O 0.995 0.818 0.691

energy of formation from the pure elements = -2.84 eV per atom
space-group type = P1



# 2
+++
(The article goes on)
Luis D. Perez
– Healing Care Hospice Chaplain
_Inserted here: calculated crystals_
1.
{
  "formula": "GdNi2P2",
  "functional": "PBE-GGA",
  "state": "relaxed",
  "spacegroup": "No. 139",
  "lattice_angstrom": [[-1.948, 1.948, 4.706], [1.948, -1.948, 4.706], [1.948, 1.948, -4.706]],
  "species": ["Gd", "Ni", "Ni", "P", "P"],
  "fractional_positions": [[0.000, 0.000, 0.000], [0.250, 0.750, 0.500], [0.750, 0.250, 0.500], [0.376, 0.376, 0.000], [0.624, 0.624, 0.000]]
}

2.
{
  "formula": "PrCuSi",
  "functional": "PBE-GGA",
  "state": "relaxed",
  "spacegroup": "No. 194",
  "energy_mp2020_ev_per_atom": -5.34,
  "lattice_angstrom": [[4.240, 0.000, 0.000], [-2.120, 3.672, 0.000], [0.000, 0.000, 8.042]],
  "species": ["Pr", "Pr", "Cu", "Cu", "Si", "Si"],
  "fractional_positions": [[0.000, 0.000, 0.000], [0.000, 0.000, 0.500], [0.333, 0.667, 0.250], [0.667, 0.333, 0.750], [0.333, 0.667, 0.750], [0.667, 0.333, 0.250]]
}

3.
{
  "formula": "InPO6",
  "functional": "PBE-GGA",
  "state": "relaxed",
  "spacegroup": "No. 14",
  "de_polymorph_mev_per_atom": 94.1,
  "magnetic_moment_mub_per_cell": 16.002,
  "energy_mp2020_ev_per_atom": -6.01,
  "lattice_angstrom": [[9.808, 0.000, 0.000], [0.000, 10.155, 0.000], [-7.605, 0.000, 10.162]],
  "species": ["In", "In", "In", "In", "In", "In", "In", "In", "P", "P", "P", "P", "P", "P", "P", "P", "O", "O", "O", "O", "O", "O", "O", "O", "O", "O", "O", "O", "O", "O", "O", "O", "O", "O", "O", "O", "O", "O", "O", "O", "O", "O", "O", "O", "O", "O", "O", "O", "O", "O", "O", "O", "O", "O", "O", "O", "O", "O", "O", "O", "O", "O", "O", "O"],
_End of the calculated crystals_
I am aware that we live in a pluralistic religious society. Not everyone believes in the same “God,” or lack thereof. Therefore, I am sensitive not to impose my beliefs on families, patients and the hospice team.
With that said, I would like to kindly invite you to step into my world. A world where care is provided through therapeutic presence, empathy and counseling; where religious support is facilitated to those of different faith traditions (Buddhist, Catholics, Muslims, etc.); and where in the most darkest valley’s, the Transcendent becomes personal. I call these peculiar times, “Divine Moments.”
One sunny afternoon, I made a visit to a patient who was in a rapidly declining state. The patient’s family was highly distressed and confused. When I walked into the room, there was a fearful silence. After speaking to the family and finding out they were religious, I spoke to the patient and reminded him that God was walking with him in the current darkness of his life.
As I reached down to hold his hands, the fast paced moving clouds covered the sun’s light—turning the room dark. It was as if the clouds knew the room’s emotional temperature. I pulled out my Bible and read Psalms 23, a well known Psalm of trust, which shows us that one must undergo hardship in life but no one needs to be afraid. After the reading, I said a prayer, all while emphasizing verse 4:
“..and even when I walk through the darkest valley, I will be with you.”
Unsure what it was but something inside me kept pushing me to remind the patient of this wonderful truth: you are not alone; God is with you as a beaming light.
As soon I finished the prayer, the cloud’s, sensing for the second time the room’s emotional temperature, moved away from the sun and brightened the milieu. One of the patient’s daughters pulled me to the side and said, “Chaplain, I need to talk with you.”
We walked into the living room where she poured out her heart saying, “I haven’t been able to mourn and shed tears, until now. The reason I am so emotional is because yesterday when my father was going through a lot of pain and anxiety, he told us: ‘I am walking alone in the darkness.’ But after your calm presence and prayer, we now know God is truly with him.”
That sunny afternoon, although the family was experiencing grief and mourning, there was peace and comfort that surpassed all understanding. And this was a gift from above. Somehow, someway, the family knew that God had not abandoned them during these dire times.